Work order =
What is needed: type out the lines below from the one with "0.733 6.021" to the one with "0.028 0.13" word for word.

Data =
=====
Here is 3 unconnected molecules or ions with the total composition C35H62ClN4 in a non-equilibrium geometry from the OMol25 dataset. Energies are from the ωB97M-V functional and the def2-TZVPD basis.

XYZ file:
```
102
Properties=species:S:1:pos:R:3:lowdin_charge:R:1
C -5.182 -0.058 -1.723 -0.06
C -4.086 0.278 -0.643 -0.23
C -4.346 1.039 0.582 -0.03
C -3.299 1.302 1.592 -0.02
C -1.925 0.795 1.377 -0.22
C -0.762 1.000 2.402 -0.11
C 0.094 2.320 2.119 -0.20
C 1.517 2.095 2.781 -0.15
N 2.680 2.367 1.890 -0.04
C 2.429 3.696 1.282 -0.13
C 1.257 3.573 0.242 -0.35
C 1.715 3.091 -1.191 -0.10
C 2.668 1.852 -1.209 -0.14
C 2.346 0.543 -0.587 -0.05
C 3.251 -0.607 -0.642 -0.09
C 4.528 -0.537 -1.358 -0.07
C 4.879 0.737 -1.980 -0.03
C 3.973 1.910 -1.907 -0.17
C 4.503 3.205 -2.644 -0.05
C 0.647 5.054 0.092 -0.14
C -0.198 5.271 -1.222 -0.70
C -1.445 6.241 -0.953 -0.13
Cl 0.733 6.021 -2.594 0.62
N 0.117 2.682 0.673 0.14
C -1.704 0.035 0.127 -0.06
C -2.729 -0.240 -0.872 -0.03
H -5.149 0.771 -2.476 0.09
H -4.892 -1.025 -2.224 0.08
H -6.188 -0.143 -1.235 0.08
H -5.379 1.424 0.739 0.11
H -3.535 1.866 2.533 0.11
H -1.176 1.061 3.440 0.13
H -0.109 0.079 2.334 0.12
H -0.405 3.149 2.687 0.16
H 1.626 1.031 3.138 0.13
H 1.605 2.735 3.712 0.13
H 3.473 2.513 2.526 0.13
H 2.069 4.379 2.117 0.13
H 3.340 4.154 0.808 0.15
H 2.274 3.945 -1.661 0.08
H 0.861 2.859 -1.890 0.13
H 1.386 0.376 -0.040 0.07
H 2.956 -1.549 -0.124 0.11
H 5.159 -1.456 -1.387 0.11
H 5.852 0.772 -2.535 0.11
H 5.199 2.843 -3.454 0.08
H 3.679 3.842 -3.048 0.07
H 5.165 3.744 -1.907 0.09
H 0.005 5.276 0.999 0.13
H 1.482 5.811 0.095 0.13
H -0.666 4.310 -1.587 0.10
H -2.251 5.934 -1.684 0.09
H -1.200 7.304 -1.203 0.07
H -1.886 6.095 0.066 0.08
H 0.089 1.879 0.028 0.13
H -0.753 3.212 0.493 0.18
H -0.672 -0.353 -0.053 0.09
H -2.494 -0.852 -1.782 0.12
C 1.525 -5.224 -5.811 -0.09
C 1.089 -4.062 -4.927 -0.27
N 2.163 -3.522 -4.106 -0.19
C 1.695 -2.629 -3.055 -0.25
C 1.018 -1.325 -3.482 -0.08
C 3.356 -3.081 -4.817 -0.24
C 3.189 -2.013 -5.898 -0.08
H 2.000 -6.011 -5.221 0.08
H 0.655 -5.658 -6.308 0.07
H 2.220 -4.906 -6.591 0.07
H 0.302 -4.440 -4.268 0.12
H 0.626 -3.290 -5.557 0.10
H 2.528 -2.392 -2.389 0.08
H 0.988 -3.188 -2.430 0.11
H 1.738 -0.599 -3.860 0.06
H 0.530 -0.866 -2.616 0.05
H 0.249 -1.485 -4.241 0.07
H 3.820 -3.959 -5.277 0.10
H 4.100 -2.736 -4.091 0.11
H 2.352 -2.221 -6.567 0.07
H 4.091 -1.971 -6.514 0.07
H 3.053 -1.019 -5.470 0.05
C -2.139 -5.237 5.088 -0.09
C -2.794 -4.028 5.744 -0.27
N -2.205 -2.759 5.342 -0.19
C -2.614 -1.639 6.180 -0.25
C -4.093 -1.248 6.174 -0.09
C -2.174 -2.492 3.912 -0.25
C -3.495 -2.499 3.153 -0.08
H -1.059 -5.237 5.252 0.08
H -2.542 -6.156 5.520 0.08
H -2.329 -5.272 4.013 0.06
H -2.667 -4.144 6.825 0.12
H -3.874 -4.059 5.550 0.10
H -2.015 -0.758 5.921 0.10
H -2.332 -1.873 7.212 0.11
H -4.373 -0.737 5.252 0.05
H -4.292 -0.554 6.994 0.07
H -4.750 -2.109 6.310 0.07
H -1.510 -3.227 3.445 0.10
H -1.674 -1.532 3.736 0.09
H -4.122 -3.357 3.403 0.07
H -3.298 -2.546 2.078 0.07
H -4.067 -1.588 3.330 0.05
```

F_max	3.1	eV/A
net charge	+1
frontier orbital gap	7.296	eV
HOMO	-0.357	hartree
=====

Reply =
Cl 0.733 6.021 -2.594 0.62
N 0.117 2.682 0.673 0.14
C -1.704 0.035 0.127 -0.06
C -2.729 -0.240 -0.872 -0.03
H -5.149 0.771 -2.476 0.09
H -4.892 -1.025 -2.224 0.08
H -6.188 -0.143 -1.235 0.08
H -5.379 1.424 0.739 0.11
H -3.535 1.866 2.533 0.11
H -1.176 1.061 3.440 0.13
H -0.109 0.079 2.334 0.12
H -0.405 3.149 2.687 0.16
H 1.626 1.031 3.138 0.13
H 1.605 2.735 3.712 0.13
H 3.473 2.513 2.526 0.13
H 2.069 4.379 2.117 0.13
H 3.340 4.154 0.808 0.15
H 2.274 3.945 -1.661 0.08
H 0.861 2.859 -1.890 0.13
H 1.386 0.376 -0.040 0.07
H 2.956 -1.549 -0.124 0.11
H 5.159 -1.456 -1.387 0.11
H 5.852 0.772 -2.535 0.11
H 5.199 2.843 -3.454 0.08
H 3.679 3.842 -3.048 0.07
H 5.165 3.744 -1.907 0.09
H 0.005 5.276 0.999 0.13
H 1.482 5.811 0.095 0.13
H -0.666 4.310 -1.587 0.10
H -2.251 5.934 -1.684 0.09
H -1.200 7.304 -1.203 0.07
H -1.886 6.095 0.066 0.08
H 0.089 1.879 0.028 0.13